To do
Next, start at the top of the listing below and give back each line, ending with the one that has "4.883 -0.013".

Given
'''
[1]
124
Properties=species:S:1:pos:R:3:mulliken_charge:R:1 method="wB97M-V/def2-TZVPD" orbital_gap_ha=0.259 largest_force_ev_per_a=1.89 e_tot_ha=-140383.49868 homo_ev=-11.064 charge=+1 spin_multiplicity=1
C -1.656 2.593 -0.603 -1.067
C -1.096 1.364 -1.320 0.740
O -2.052 0.822 -2.202 -0.467
C -1.835 -0.549 -2.510 -0.673
C -0.544 -0.715 -3.340 0.379
C -0.707 -1.594 -4.588 -1.401
C 0.256 -1.190 -5.709 -0.594
C 1.721 -1.375 -5.302 -0.842
N 2.478 -0.128 -5.062 1.326
C 3.784 -0.089 -5.207 -1.132
C 4.579 1.032 -4.950 -0.978
C 3.906 2.144 -4.522 0.000
C 2.510 2.015 -4.433 -0.005
O 1.843 3.103 -4.026 -0.508
N 1.793 0.944 -4.685 -0.482
H -1.507 3.461 -1.238 0.282
H -1.121 2.710 0.333 0.222
H -2.726 2.456 -0.470 0.310
H -0.252 1.719 -1.934 -0.402
H -0.663 0.644 -0.619 0.018
H -2.700 -0.817 -3.109 0.420
H -1.782 -1.117 -1.580 0.324
H 0.218 -1.122 -2.675 0.332
H -0.298 0.280 -3.691 -0.001
H -0.493 -2.638 -4.355 0.339
H -1.735 -1.538 -4.937 0.518
H 0.084 -1.890 -6.525 0.261
H 0.028 -0.210 -6.119 0.465
H 2.245 -1.971 -6.043 0.382
H 1.740 -1.948 -4.377 0.267
H 4.261 -0.997 -5.546 0.586
H 5.640 1.033 -5.049 1.126
H 4.424 3.057 -4.277 0.706
H 0.931 2.854 -3.818 0.293
C -1.278 5.484 2.659 -0.281
Br -3.038 4.726 2.724 0.045
Br -0.010 4.444 3.661 0.032
Br -0.658 5.717 0.855 -0.067
H -1.336 6.461 3.117 0.260
C -3.684 4.213 6.999 -0.362
Br -3.470 6.055 6.484 -0.005
Br -5.038 3.339 5.947 0.027
Br -2.017 3.259 6.934 -0.003
H -4.017 4.203 8.026 0.368
C -6.551 -0.183 6.346 -0.364
Br -5.881 -0.438 4.559 0.036
Br -8.168 -1.180 6.647 -0.018
Br -5.212 -0.581 7.669 0.034
H -6.797 0.864 6.448 0.248
C 2.735 -0.622 -9.563 -0.302
Br 2.224 0.975 -8.608 -0.040
Br 4.514 -1.192 -9.094 -0.050
Br 1.457 -2.035 -9.317 -0.011
H 2.744 -0.378 -10.615 0.407
C 3.400 3.710 1.724 -0.341
Br 3.574 5.577 1.301 -0.017
Br 1.989 2.872 0.722 0.140
Br 5.057 2.764 1.507 -0.011
H 3.127 3.642 2.768 0.332
C -5.189 8.247 3.870 -0.035
Br -5.911 9.711 4.883 -0.013
Br -6.267 7.834 2.333 -0.001
Br -3.352 8.565 3.379 0.013
H -5.199 7.376 4.511 0.033
C 7.114 3.108 -7.633 -0.458
Br 6.551 4.665 -6.655 0.042
Br 8.872 2.529 -7.127 0.008
Br 5.807 1.695 -7.435 0.125
H 7.150 3.367 -8.681 0.370
C 4.392 8.214 -5.086 -0.321
Br 3.769 9.747 -4.114 -0.025
Br 6.186 7.731 -4.581 -0.054
Br 3.188 6.716 -4.910 0.013
H 4.415 8.483 -6.131 0.372
C -5.798 -4.186 6.057 0.769
Br -5.126 -4.433 4.271 0.052
Br -7.416 -5.181 6.363 0.013
Br -4.459 -4.582 7.381 -0.001
H -6.047 -3.138 6.159 -0.799
C -5.300 -8.294 2.017 -0.329
Br -4.854 -8.247 3.884 0.133
Br -7.179 -8.602 1.749 0.028
Br -4.696 -6.716 1.088 -0.045
H -4.775 -9.135 1.587 0.295
C -3.516 -11.841 4.856 -0.152
Br -5.278 -12.618 4.885 -0.006
Br -2.274 -12.841 5.927 -0.012
Br -2.880 -11.607 3.055 -0.040
H -3.598 -10.855 5.292 0.185
C -6.815 -10.473 7.636 -0.081
Br -8.537 -10.612 6.791 -0.002
Br -5.953 -8.803 7.209 0.031
Br -6.921 -10.751 9.535 -0.013
H -6.199 -11.263 7.231 0.033
C 2.601 -0.988 2.605 -0.329
Br 2.092 0.448 3.780 -0.014
Br 1.413 -1.120 1.093 0.079
Br 4.433 -0.840 2.031 -0.004
H 2.521 -1.904 3.173 0.240
C 4.901 -2.533 -1.630 -0.241
Br 3.360 -3.619 -1.280 0.038
Br 6.263 -3.495 -2.584 -0.018
Br 4.429 -0.885 -2.525 0.151
H 5.316 -2.253 -0.672 0.207
C -9.699 -9.237 -1.317 -0.019
Br -11.131 -10.375 -0.724 -0.001
Br -8.239 -10.253 -2.048 0.001
Br -10.318 -7.895 -2.549 -0.010
H -9.322 -8.719 -0.447 -0.001
C 2.597 -6.387 2.030 -0.409
Br 1.481 -7.273 0.740 0.000
Br 4.464 -6.719 1.714 -0.012
Br 2.219 -4.498 2.100 0.062
H 2.357 -6.797 2.999 0.383
C 7.095 6.921 2.106 -0.107
Br 8.853 6.227 1.743 -0.012
Br 6.484 6.432 3.861 -0.004
Br 7.005 8.822 1.821 0.053
H 6.420 6.463 1.398 0.068
C 8.704 12.425 1.587 -0.193
Br 9.822 13.669 2.533 -0.019
Br 6.922 13.113 1.339 -0.004
Br 9.496 11.883 -0.082 0.008
H 8.621 11.540 2.201 0.176

[2]
14
'''

Done
[1]
124
Properties=species:S:1:pos:R:3:mulliken_charge:R:1 method="wB97M-V/def2-TZVPD" orbital_gap_ha=0.259 largest_force_ev_per_a=1.89 e_tot_ha=-140383.49868 homo_ev=-11.064 charge=+1 spin_multiplicity=1
C -1.656 2.593 -0.603 -1.067
C -1.096 1.364 -1.320 0.740
O -2.052 0.822 -2.202 -0.467
C -1.835 -0.549 -2.510 -0.673
C -0.544 -0.715 -3.340 0.379
C -0.707 -1.594 -4.588 -1.401
C 0.256 -1.190 -5.709 -0.594
C 1.721 -1.375 -5.302 -0.842
N 2.478 -0.128 -5.062 1.326
C 3.784 -0.089 -5.207 -1.132
C 4.579 1.032 -4.950 -0.978
C 3.906 2.144 -4.522 0.000
C 2.510 2.015 -4.433 -0.005
O 1.843 3.103 -4.026 -0.508
N 1.793 0.944 -4.685 -0.482
H -1.507 3.461 -1.238 0.282
H -1.121 2.710 0.333 0.222
H -2.726 2.456 -0.470 0.310
H -0.252 1.719 -1.934 -0.402
H -0.663 0.644 -0.619 0.018
H -2.700 -0.817 -3.109 0.420
H -1.782 -1.117 -1.580 0.324
H 0.218 -1.122 -2.675 0.332
H -0.298 0.280 -3.691 -0.001
H -0.493 -2.638 -4.355 0.339
H -1.735 -1.538 -4.937 0.518
H 0.084 -1.890 -6.525 0.261
H 0.028 -0.210 -6.119 0.465
H 2.245 -1.971 -6.043 0.382
H 1.740 -1.948 -4.377 0.267
H 4.261 -0.997 -5.546 0.586
H 5.640 1.033 -5.049 1.126
H 4.424 3.057 -4.277 0.706
H 0.931 2.854 -3.818 0.293
C -1.278 5.484 2.659 -0.281
Br -3.038 4.726 2.724 0.045
Br -0.010 4.444 3.661 0.032
Br -0.658 5.717 0.855 -0.067
H -1.336 6.461 3.117 0.260
C -3.684 4.213 6.999 -0.362
Br -3.470 6.055 6.484 -0.005
Br -5.038 3.339 5.947 0.027
Br -2.017 3.259 6.934 -0.003
H -4.017 4.203 8.026 0.368
C -6.551 -0.183 6.346 -0.364
Br -5.881 -0.438 4.559 0.036
Br -8.168 -1.180 6.647 -0.018
Br -5.212 -0.581 7.669 0.034
H -6.797 0.864 6.448 0.248
C 2.735 -0.622 -9.563 -0.302
Br 2.224 0.975 -8.608 -0.040
Br 4.514 -1.192 -9.094 -0.050
Br 1.457 -2.035 -9.317 -0.011
H 2.744 -0.378 -10.615 0.407
C 3.400 3.710 1.724 -0.341
Br 3.574 5.577 1.301 -0.017
Br 1.989 2.872 0.722 0.140
Br 5.057 2.764 1.507 -0.011
H 3.127 3.642 2.768 0.332
C -5.189 8.247 3.870 -0.035
Br -5.911 9.711 4.883 -0.013